This page is a work in progress. I haven’t documented the work for these yet
Getting Started with Issac
I’m going to keep a list of resources and steps to follow to duel boot Ubuntu and install Isaac Gym
First thing to do is check the requirements. Go to the following URL : isaac-gym
There you can register and access the members area. The members area has some information about the installation process. Below is an image of some of the pertinent information :
I will be using ubuntu 20.04 for my setup. You can follow the ubuntu installation instructions found here : Ubuntu Install Instructions
It is fairly comprehensive and should get you going with the ubuntu distribution of your choice.
Pay close attention to which drive you are installing ubuntu onto. You don’t want to overwrite your main OS!!
When you first get into Ubuntu 20.04 (or 18.04) you may be prompted to update to a newer release (22.04). Don’t do it or you’ll need to start over.
Installing Isaac
Navigate to Isaac Gym and log in or create an account
Agree to the terms if the Nvidia Isaac Gym License Agreeement and you should be rewarded with Prerequisits and a big green install button.
Before we install, lets check our NVIDIA Drivers.
Open the Ubuntu Software & Updates
Open the Additional Drivers tab and select Using NVIDIA driver metapackage from nvidia-driver-470 (proprietary)
Apply the changes and wait for the drivers to update. This may take a few minutes.
Reset your computer… you may get cuda related errors later if you don’t
Go back to the big green install button… click it
a compressed file will download containing a folder called isaacgym.
The extraction tool should open automatically as well.
I’m going to extract it to my ~/MachineLearning directory but you can put it anywhere you’ll remember it.
Anaconda (Package Manger)
We will be using anaconda as a package manager to keep our install in a corner where it is less likely to be messed up when we start a other projects in the future. It will help maintain the package versions that work so you don’t need to constantly be worrying when doing using packages with newer versions on other projects.
Open Anaconda
cd ~/anaconda3/bin/
If someone wants to tell me how to get a normal launch icon going I’d be happy to add it to the directions…
From the Anaconda main page, click the environments tab on the left side menu
Click the Create button at the bottom of the screen to bring up a configure dialog for our new environment.
Where going to name it isaac and give it a python version of 3.8
Click the create button and wait a little bit while it sets things up.
Once the environment is created, we can launch a terminal window with our environment enabled by clicking the play button and open terminal.
Navigate to you the python directory
cd ~/MachineLearning/isaacgym/python
run the python install script
pip install -e .
This is executing if you are interested. It contains a list of required packages and their versions. If you mess up your isaac install by upgrading some packages (I did this with rl-games once) this is usually a good place to start trying to backtrack
Testing some examples
If everything went well, we should be able to run the isaac examples.
Navigate to …/isaacgym/python/examples
run anything in this directory. There are a lot of cool examples. Make sure things run without any errors.
Installing IsaacGymEnvs
(Where the learning happens)
Isaac Gym Envs Git Repo
Navigate back to the folder you stored isaacgym in.
cd ~/MachineLearning
Clone the IsaacGymEnvs github repo
git clone
If git isn’t installed, run sudo apt install git
Go into the IsaacGymEnvs directory
cd IsaacGymEnvs
run the pip installer
pip install -e .
Training Time
Lets test the new install by training a cartpole environment.
Go into the isaacgymenvs directory
cd ~/MachineLearning/IsaacGymEnvs/isaacgymenvs …
Run the python training script :
python task=Cartpole
There are more example projects that can be run
An Error I got…
I got an error :
RuntimeError: CUDA error: no kernel image is available for execution on the device
CUDA kernel errors might be asynchronously reported at some other API call,so the stacktrace below might be incorrect.
The best I can tell after googling the error above, this is a problem with the version of torch that was installed. We can update torch by following the instructions at there website : Torch Getting Started
First run
pip uninstall torch torchaudio torchvision
Then run the install command from the torch installation webpage (pictured below)
After making these changes everything seems to be working correctly.
python task=Cartpole
There are a lot of bugs that can crop up though so you may run into one that I didn’t. You should be able to find answers with a little googling (after sifting through a lot of websites)
Very Quick Exploration
#Add an Exploring the project directory section later
Just some programs I like to install when I’m getting set up. I use these all the time
From a terminal, navigate to the downloaded script to install anaconda
cd ~/Downloads
chmod +x
the q key lets you skip the terms and conditions, otherwise you need to scroll a lot
you can leave all the settings to default unless your comfortable with it set up some other way.
Running it from the default install location
From a terminal, run the following :
cd ~/anaconda3/bin
Learning To Walk
I’ve switched to a quadruped design to start, I think the added stability of two more legs will give me a better chance at early success in my sim to real work. It allows for a larger chassis size which I needed for additional components like a battery, power distribution system, and a real-sense camera. All in all I think this a good direction for now and I’ll return to the two legged variant when I have a better understanding of the sim to real challenges I will be facing.
So lets recap. Basically for months, I’ve been stuck with a bug of sorts. The learned policies when given the “Gods Eye” observations (Full State knowledge) were really good. There robots were able to locomote well. The reduced observation set has consistently had issues with learning good policies.
Originally I was creating a simulated IMU type measurement and feeding the raw signals to the network
Now I’m just calculating the local velocity and angular velocity and giving that to the network
I imagined orientation could be learned from the IMU signals but processing it and feeding the results in will probably save some training time
This hasn’t been done yet
I wasn’t sure what type of bug I was looking for. Tensor shapes have been such a common source of problems that I tend to always start here. I also had changed the reward and observation at the same time, so I wasn’t sure if the bug was in one or the other. To me, how the reward is given could have been a source of problems. The early reward structure was attempting to match the robots local vel with the command vel. I imagine if the robot was only able to walk well at one specific speed (Due to my slapdash design), this type of reward could be very detrimental to the learning process. I switched over to matching a command heading with any achievable velocity, although this could have it’s pitfalls as well. Coupled with rewards designed to minimize torque, it may learn how to move but at a very low speed.
I want to have a hybrid of the first reward structure and the current command input style I was going for. We basically can set the target location to :
Walkbot_Pos * Command_Vel * dt
Anyways there have been training problems and I’ve been picking apart the code for bugs for a while now. I think I finally stumbled into some positive news, providing roll-pitch-yaw data seems to have helped train working polices.
Starcraft 2 AI
I feel like this one is gonna be hard. These are the resources I’m starting with. I suppose my goals are :
Get the API working and kind of understand what is going on
Get a bot onto the ac2ai ladder
Start trying to apply RL to my bot.
Some useful starting links
For 1) and 2) I am just going to try and get the most basic of bots running, I’m not looking to win anything, just figure out how these systems work. Once I think I understand how this all works I will try applying reinforcement learning to my AI.
Part 1 : How does this sc2py api work?
Installation :
I already have sc2 installed via battle net
I created a new anaconda environment for sc2_ai. This was started with python version 3.8
I am installing it and getting things running via :
General Reinforcement Learning info
Problem Statement :
An agent interacts with it’s environment over discrete time steps. At time step ($t$), the agent observes an observation vector ($x_t$) and chooses an action ($a_t$) according to it’s policy $\pi(a|x_t)$ and observers a reward $r_t$ produced by the environment.
The goal is to maximize the discounted returns as defined by $R_t = \sum_{t\leq 0}\gamma^i r_{t+i}$ where $\gamma$ is the discount factor. $\gamma \in [0,1))$
We can use state, action values or state values to define the expected returns from a given state, action pair or state respectively.
$Q^\pi(x_t,a_t) = \mathbb{E}_{x_{t+1:\inf}, a_{t+1:\inf}}[R_t|x_t,a_t]$
$V^\pi(x_t) = \mathbb{E}_{a_t}[Q^\pi(x_t,a_t)|x_t]$
The advantage function provides arelative measure of value of each action since $E_{a_t}[A^pi(x_t,a_t)] = 0$
$A^\pi(x_t,a_t) = Q^\pi(x_t,a_t) - V^\pi(x_t)$
Taking a stab at implementing ACER
My previous actor critic implementation used a replay buffer to collect experience from a bunch of simulated environments. The performance on Cartpole was pretty good but while I was playing with the code I started reading the ACER implimentation (Sample Efficient Actor-Critic With Experience Replay). I think it would be good experience to implement this with all the bells and whistles. From what I gathered the additional pieces I need to add are :
'''
(1)
{"formula": "C6H11N", "method": "ωB97M-V/def2-TZVPD", "elements": ["C", "C", "C", "C", "C", "C", "H", "H", "H", "H", "H", "H", "H", "H", "H", "H", "H", "N"], "xyz": [[2.144952, 0.154405, -0.054902], [0.837790, -0.635366, -0.146797], [-0.635843, -0.230527, -0.959450], [-1.050095, 1.074790, -0.565216], [-0.196496, -0.431688, 0.989499], [-1.391787, -1.106365, 0.156409], [2.768887, 0.383190, -1.082635], [2.991978, -0.376651, 0.479874], [1.887947, 1.214970, 0.356189], [1.009331, -1.675512, -0.364798], [-0.703016, -0.328057, -2.010244], [-1.988037, 1.338211, -0.792821], [-0.299635, 1.809249, -0.890561], [-1.152418, 1.217646, 1.706918], [0.017537, -0.625090, 1.997325], [-1.319874, -2.142820, 0.001377], [-2.463735, -0.688001, 0.310013], [-0.457489, 1.047612, 0.869823]], "forces_ev_per_a": [[1.49, 2.16, -1.84], [-2.23, 0.82, -0.48], [1.50, -3.10, 0.31], [6.44, 2.48, 2.77], [-0.70, 0.57, -1.25], [0.73, 3.28, -0.39], [-2.10, -0.64, 1.96], [-1.44, 0.57, 0.10], [0.81, -2.00, -0.36], [-0.06, -0.45, -0.08], [-0.15, -0.95, -1.16], [-3.67, 0.97, -0.22], [-0.88, 0.27, -1.19], [1.32, 0.04, -2.44], [0.34, -0.75, 1.45], [-0.02, -1.34, -0.01], [1.80, -1.01, 0.13], [-3.18, -0.92, 2.73]], "energy_ev": -7887.0358, "homo_ev": -8.812, "orbital_gap_ev": 9.92, "de_lowest_kj_mol": 337.3}

=====

(2)
{"formula": "C4H8F3O2PS", "method": "ωB97M-V/def2-TZVPD", "elements": ["C", "C", "C", "C", "O", "O", "F", "F", "F", "P", "S", "H", "H", "H", "H", "H", "H", "H", "H"], "xyz": [[3.827461, 0.235051, 0.221651], [2.521338, 0.445785, -0.549107], [1.461846, -0.464758, -0.027392], [-3.786395, 0.849059, -0.329939], [-4.275018, -1.788060, 0.034407], [-3.339626, -0.504253, 1.908918], [-4.556501, 0.738207, -1.407324], [-2.688782, 1.554901, -0.675831], [-4.440197, 1.552617, 0.595076], [0.931364, -1.904275, -0.686484], [-3.187303, -0.922853, 0.335103], [4.579218, 0.952247, -0.098632], [3.664632, 0.354673, 1.290379], [4.205008, -0.770162, 0.046350], [2.196199, 1.481861, -0.431012], [2.699508, 0.259480, -1.610717], [-2.598477, -0.026886, 2.289784], [1.037768, -0.168980, 0.925348], [1.747958, -1.873663, -1.830583]], "forces_ev_per_a": [[-0.07, 0.07, -0.07], [0.18, 0.01, 0.00], [-0.11, -0.47, -0.42], [0.34, -0.12, 0.14], [-1.10, -0.91, -0.08], [-0.70, -0.38, -0.18], [0.09, -0.27, 0.21], [-0.07, -0.25, 0.14], [0.02, -0.23, -0.10], [-0.22, 0.27, 0.54], [0.96, 2.08, 0.02], [0.10, 0.05, 0.01], [0.05, 0.02, 0.12], [0.04, -0.06, 0.02], [0.01, 0.05, -0.07], [-0.10, 0.05, 0.04], [0.47, 0.07, -0.15], [-0.10, -0.02, 0.14], [0.20, 0.04, -0.31]], "energy_ev": -36646.8816, "homo_ev": -9.570, "orbital_gap_ev": 9.68}

=====

(3)
'''
Retrace Algorithm
Truncated importance sampling with bias correction,
Stochastic dueling network architectures
efficient trust region policy optimization
So with my previous implementation I was sampling actions from the policy I was optimizing so I had an ‘on policy’ update. I believe I’ll be implementing an off-policy method with ACER.
The Retrace Algorithm
Retrace Paper :
What is the retrace algorithm doing?
It is an off-policy return based reinforcement learning algorithm.
In the policy evaluation setting, we are given a fixed policy π whose value Qπ we wish to estimate from sample trajectories drawn from a behaviour policy μ.
In the control setting, we consider a sequence of policies that depend on our own sequence of Q-functions (such as ε-greedy policies), and seek to approximate Q
It was designed with three properties in mind:
Low Variance
Safe use of samples collected from any behaviour policy
Is efficient as it makes the best use of samples collected from near on-policy behavior policies.
The general operator that we consider for comparing several return-based off-policy algorithms
(Section 2 : Safe and efficient off-policy reinforcement learning)
Actor Critic with CartPole
For the past few weeks I’ve been working on an Actor Critic RL implementation as a sort of sandbox to test implementing some RL concepts. The following is a document explaining some of the lessons learned as well as demonstrating the code.
Originally I was working with a single colabs notebook but the organizational benefits of splitting things into separate files was necessary as the code grew. Below are links to the github repositories for both the ipynb and the python files I’ve been working on
Python Files : Github
Colab Notebook : CoLab *Note To Self : Need to add this link. Notebook needs a little cleaning up first..
Features :
Utilizing vectorized environments to speed up training. I noticed while looking at the replay buffer that the inference from f(state)=action_logits was taking far longer than the env.step(action) operation. With multiple environments I can fill the buffers faster by inputting a state tensor and receiving an action_logit tensor in return. Since tensor opperations are parallelized on the gpu, this saves time by reducing the number of inference calls.
Variable N-step updates. In the training loop I can set how many steps I want each environment to take before performing a training update. Below are some plots comparing N=1, N=10, and N=100. For this test that are 100 environments running.
Currently I’m determining the performance of the algorithm by keeping track of each environments cumulative rewards in the replay buffer. This allows me to avoid running evaluation environments which could become painfully slow as episode length increases. Below are plots comparing an evaluation environment vs the batch_mean_reward.
Current Implementation Problems :
The replay buffer is tailored to the environment and I need to manually change it when I change to different environments. I created different classes of replay buffer for different environments but I don’t love this solution, it is just a stopgap.
My current implementation doesn’t work with the standard environments right now. In order to speed up training I added a cumulative reward to all the environments which is returned during step in the info dictionary. I can average terminal rewards by multiplying the cumulative reward and done tensors, summing the result and dividing by the number of done=True in the batch. I did this to avoid needing to run evaluation environment trials which were tediously slow. I probably could do something with running those eval trials in a different thread but that is a future problem to work on.
self.total_reward_metric sometimes can be weird if there are no transitions with done=True in the batch. Since I’m averaging over 10 training update steps this usually isn’t the case but if it does happen that no done=True states were seen, the result of the total_reward_metric is 0. This was negatively effecting the reported performance of the agent. This might be able to be fixed by checking for the length of the entries in the metric variable.
The replay buffer is sampled sequentially instead of randomly. This wasn’t an issue when I had written my own replay buffer but there doesn’t seem to be an easy way to do this with the tensorflow agents replay buffer…
Observations :
The infinite episodes seemed to have a degrading quality on the policy. It felt like it got so good at performing one task that it started to get worse at more infrequent tasks such as recovery and not going past the linear boundaries. To fix this I started limiting the episodes to 1000 steps.
I think learning only occurs through trial and failure. I started increasing the sampling range of the starting states to give the agent more examples of challenging situations. This seemed to improve the performance and learning rate of the agent.
Learning seems to come from the difference in rewards received. In cartpole every step results in a reward of (1). Thus the only chance for the critic network to update its idea about state values happens at the episode termination when the reward is (0). After some updating the reward begins to propagate back from terminal states towards starting states. I guess I think of this as learning occurring due to the difference in rewards.
Decorating the training step with @tf.function resulted in about a 3x speed increase
Experiments :
Learning and Performance with different environment steps and training steps
Environment steps are how many steps each environment takes before a series of mini-batchs are used to update the agent policy. When each environment takes a step they add the experience to the experience replay buffer.
Training steps are how many mini-batch updates are run between environment step updates